**Work order**
Now echo only the last part of the lines further below, starting with the line that has "2.164 1.832".

**Input**
=====
ORCA calculation (wB97M-V/def2-TZVPD) on a 3-piece molecular cluster, C17H35BrN3O overall in a non-equilibrium geometry.

Each line ends with the natural charge from an NBO analysis.
Cartesian coordinates (Å):
Br  -0.8224  0.7352  -1.1481  0.195
O  4.4135  -0.2092  -0.4804  -0.649
N  2.7517  3.0928  -1.2013  -0.422
N  -5.5117  2.5715  -1.1281  -0.451
N  3.5366  -4.1856  2.5094  -0.450
C  1.4411  2.6923  -1.2460  0.048
C  -3.6257  3.1710  0.4885  -0.636
C  2.0354  0.2729  -0.7436  -0.134
C  3.4419  0.7622  -0.7154  0.278
C  -6.5036  3.5002  -0.6041  -0.215
C  3.7409  2.1558  -0.9464  0.012
C  3.6925  -1.7372  2.0788  -0.606
C  -4.5569  2.1239  -0.1250  -0.201
C  -4.9422  2.9050  -2.4257  -0.216
C  2.3738  -4.3752  1.6552  -0.216
C  1.0178  1.3089  -1.0378  -0.124
C  4.2612  -5.4029  2.8597  -0.210
C  -4.2354  4.2559  -2.5694  -0.637
C  5.1003  -6.0717  1.7703  -0.635
C  -7.6691  3.7506  -1.5516  -0.616
C  4.4101  -3.0771  2.1633  -0.213
C  2.6163  -4.5995  0.1594  -0.638
H  1.6856  -4.4329  -0.3912  0.207
H  -2.8350  3.4643  -0.2052  0.185
H  2.9801  -1.7079  1.2508  0.169
H  4.4774  -6.5943  1.0430  0.200
H  4.8066  2.4771  -0.9262  0.268
H  4.9257  -5.1670  3.6979  0.194
H  2.9276  -5.6216  -0.0514  0.216
H  -4.1572  4.0675  0.8103  0.216
H  0.6662  3.4616  -1.4606  0.266
H  -7.3551  4.2734  -2.4574  0.201
H  4.4178  -0.9396  1.9110  0.212
H  1.7753  -0.7985  -0.5712  0.283
H  3.5562  -6.1367  3.2626  0.199
H  5.1782  -2.9815  2.9366  0.206
H  1.7232  -3.5004  1.7644  0.181
H  -4.7923  5.0727  -2.1074  0.212
H  -8.1512  2.8140  -1.8387  0.215
H  4.3944  -0.7368  -1.3087  0.504
H  -6.0558  4.4661  -0.3319  0.157
H  3.1596  -1.5161  3.0061  0.218
H  -4.1238  4.4994  -3.6294  0.215
H  -8.4171  4.3757  -1.0598  0.219
H  3.0267  4.0680  -1.3583  0.467
H  4.9410  -3.2540  1.2165  0.154
H  1.7734  -5.2038  2.0416  0.208
H  -3.9492  1.3119  -0.5420  0.173
H  -3.2315  4.2349  -2.1433  0.186
H  5.7371  -5.3626  1.2382  0.201
H  -4.2507  2.1124  -2.7310  0.187
H  3.3631  -3.9163  -0.2525  0.188
H  -5.7425  2.8624  -3.1707  0.201
H  5.7545  -6.8222  2.2197  0.221
H  -6.9224  3.0814  0.3164  0.200
H  -5.1203  1.6574  0.6904  0.198
H  -3.1316  2.7524  1.3698  0.209

As for the total charge: +1. The value obtained for the HOMO-LUMO gap is 0.17462 hartree. As for the spin multiplicity: 1.

=====

Below is the molecule C21H27FN4O2S at a distorted geometry, with properties calculated with ωB97M-V/def2-TZVPD.

Structure (XYZ):
```
56
Properties=species:S:1:pos:R:3:forces:R:3:mulliken_charge:R:1
C 2.548 -1.299 -0.097 0.302 -1.543 0.085 -0.771
H 1.667 4.583 -1.898 -0.143 0.083 0.001 0.297
H 2.164 1.832 0.560 -0.071 -0.022 0.046 0.346
C -2.659 -3.420 0.233 0.129 0.027 -0.081 -0.713
H -2.530 -0.728 0.092 0.134 0.124 -0.087 0.158
C -1.337 -0.907 -1.529 -0.063 0.657 -0.078 -0.133
N 3.539 -0.409 0.117 -0.563 1.029 -0.016 0.316
C -0.628 0.434 -1.160 -0.126 -0.489 -0.037 0.105
C 3.002 -2.600 -0.024 0.301 0.259 0.011 -0.160
C -0.970 0.937 1.301 -0.038 0.061 -0.161 0.684
H -2.897 -2.319 2.087 0.016 -0.014 0.081 0.214
H 3.909 2.722 -0.980 0.013 -0.031 0.003 0.364
H -2.866 -2.874 -1.885 -0.050 0.040 0.117 0.671
H 2.690 0.688 -1.595 -0.174 0.123 -0.134 0.468
S 4.670 -2.571 0.291 -1.085 -0.009 -0.216 0.099
H -3.779 -3.837 2.052 0.048 0.030 0.091 0.454
C -3.094 -2.480 -0.893 -0.044 -0.236 -0.318 -0.408
C -4.590 -2.300 -0.638 0.057 0.011 -0.053 -0.947
H -3.648 3.579 0.449 -0.079 0.086 0.005 0.451
H 0.947 2.813 -0.266 -0.044 0.054 0.064 0.405
C 2.616 4.070 -2.041 0.189 -0.210 0.126 -1.484
O 0.270 -1.747 0.141 0.174 -0.123 0.145 -0.509
C -2.561 2.571 1.988 0.024 -0.063 -0.118 0.451
H -4.717 -1.197 1.224 -0.059 0.030 0.044 0.226
C -3.485 -2.979 1.449 0.025 -0.080 0.078 -0.693
H -5.645 -2.688 1.226 -0.046 0.096 0.049 0.413
C 2.989 3.283 -0.786 -0.269 0.122 0.141 0.676
C -2.251 2.141 -0.331 0.185 -0.179 0.115 -0.414
C 1.722 1.156 -1.415 0.365 0.464 0.074 -1.577
H 3.546 3.693 1.264 0.026 -0.019 0.150 0.391
C -2.898 2.838 0.673 -0.069 0.081 0.261 -0.912
=====

**Completed**
H 2.164 1.832 0.560 -0.071 -0.022 0.046 0.346
C -2.659 -3.420 0.233 0.129 0.027 -0.081 -0.713
H -2.530 -0.728 0.092 0.134 0.124 -0.087 0.158
C -1.337 -0.907 -1.529 -0.063 0.657 -0.078 -0.133
N 3.539 -0.409 0.117 -0.563 1.029 -0.016 0.316
C -0.628 0.434 -1.160 -0.126 -0.489 -0.037 0.105
C 3.002 -2.600 -0.024 0.301 0.259 0.011 -0.160
C -0.970 0.937 1.301 -0.038 0.061 -0.161 0.684
H -2.897 -2.319 2.087 0.016 -0.014 0.081 0.214
H 3.909 2.722 -0.980 0.013 -0.031 0.003 0.364
H -2.866 -2.874 -1.885 -0.050 0.040 0.117 0.671
H 2.690 0.688 -1.595 -0.174 0.123 -0.134 0.468
S 4.670 -2.571 0.291 -1.085 -0.009 -0.216 0.099
H -3.779 -3.837 2.052 0.048 0.030 0.091 0.454
C -3.094 -2.480 -0.893 -0.044 -0.236 -0.318 -0.408
C -4.590 -2.300 -0.638 0.057 0.011 -0.053 -0.947
H -3.648 3.579 0.449 -0.079 0.086 0.005 0.451
H 0.947 2.813 -0.266 -0.044 0.054 0.064 0.405
C 2.616 4.070 -2.041 0.189 -0.210 0.126 -1.484
O 0.270 -1.747 0.141 0.174 -0.123 0.145 -0.509
C -2.561 2.571 1.988 0.024 -0.063 -0.118 0.451
H -4.717 -1.197 1.224 -0.059 0.030 0.044 0.226
C -3.485 -2.979 1.449 0.025 -0.080 0.078 -0.693
H -5.645 -2.688 1.226 -0.046 0.096 0.049 0.413
C 2.989 3.283 -0.786 -0.269 0.122 0.141 0.676
C -2.251 2.141 -0.331 0.185 -0.179 0.115 -0.414
C 1.722 1.156 -1.415 0.365 0.464 0.074 -1.577
H 3.546 3.693 1.264 0.026 -0.019 0.150 0.391
C -2.898 2.838 0.673 -0.069 0.081 0.261 -0.912